(Excerpt)
-- begin --
No. 1
Theoretical powder diffractogram
Compound: K6SeI2Br3
Radiation: Cu Kα (weighted mean of Kα1 and Kα2)
Structure: a structure optimized by DFT (PBE)
Lines closer than 0.1° are merged.

Structural model:
```
data_K6SeI2Br3
_cell_length_a 8.4857
_cell_length_b 14.0789
_cell_length_c 8.5530
_cell_angle_alpha 90.00
_cell_angle_beta 107.74
_cell_angle_gamma 90.00
_space_group_name_H-M_alt 'C 1 2/m 1'
_space_group_IT_number 12
loop_
_space_group_symop_operation_xyz
'x,y,z'
'-x,-y,-z'
'-x,y,-z'
'x,-y,z'
'x+1/2,y+1/2,z'
'-x+1/2,-y+1/2,-z'
'-x+1/2,y+1/2,-z'
'x+1/2,-y+1/2,z'
loop_
_atom_site_label
_atom_site_fract_x
_atom_site_fract_y
_atom_site_fract_z
_atom_site_occupancy
K1 0.2354 0.0000 0.2432 1
K2 0.2442 0.3398 0.2310 1
Se1 0.0000 0.0000 0.5000 1
I1 0.0000 0.3258 0.5000 1
Br1 0.0000 0.1679 0.0000 1
Br2 0.0000 0.5000 0.0000 1
```

Top 10 peaks for 10 to 90 degrees two-theta, in order of rising 2θ:
hkl 0 0 2, 21.8°, intensity 10
hkl 2 0 0, 22.0°, intensity 8
hkl 1 3 -1, 22.9°, intensity 14
hkl 2 0 -2, 26.0°, intensity 100
hkl 2 0 2, 35.8°, intensity 14
hkl 1 3 -3, 36.9°, intensity 25
hkl 3 3 -1, 37.1°, intensity 25
hkl 0 6 0, 38.4°, intensity 11
hkl 0 0 4, 44.5°, intensity 10
hkl 2 6 -2, 46.9°, intensity 12

No. 2
Theoretical powder diffractogram
Compound: Ag7TeS2Br2
Radiation: Cu Kα (weighted mean of Kα1 and Kα2)
Structure: a structure optimized by DFT (PBE)
Lines closer than 0.1° are merged.

Structural model:
```
data_Ag7TeS2Br2
_cell_length_a 4.5285
_cell_length_b 20.1208
_cell_length_c 6.8780
_cell_angle_alpha 90.00
_cell_angle_beta 90.00
_cell_angle_gamma 90.00
_space_group_name_H-M_alt 'I m m 2'
_space_group_IT_number 44
loop_
_space_group_symop_operation_xyz
'x,y,z'
'-x,-y,z'
'-x,y,z'
'x,-y,z'
'x+1/2,y+1/2,z+1/2'
'-x+1/2,-y+1/2,z+1/2'
'-x+1/2,y+1/2,z+1/2'
'x+1/2,-y+1/2,z+1/2'
loop_
_atom_site_label
_atom_site_fract_x
_atom_site_fract_y
_atom_site_fract_z
_atom_site_occupancy
Ag1 0.0000 0.0000 0.0000 1
Ag2 0.0000 0.0777 0.3897 1
Ag3 0.0000 0.2188 0.8609 1
Ag4 0.0000 0.4217 0.3696 1
Te1 0.0000 0.5000 0.7588 1
S1 0.0000 0.1017 0.7473 1
Br1 0.0000 0.2092 0.2676 1
```

Top 10 peaks for 10 to 90 degrees two-theta, in order of rising 2θ:
hkl 0 5 1, 25.6°, intensity 36
hkl 0 0 2, 25.9°, intensity 100
hkl 1 4 1, 29.5°, intensity 81
hkl 1 3 2, 35.4°, intensity 56
hkl 1 6 1, 35.8°, intensity 74
hkl 0 6 2, 37.5°, intensity 34
hkl 2 0 0, 39.8°, intensity 82
hkl 1 8 1, 43.2°, intensity 56
hkl 1 2 3, 45.2°, intensity 81
hkl 2 0 2, 48.1°, intensity 35

Copy entry 1 word for word.
Theoretical powder diffractogram
Compound: K6SeI2Br3
Radiation: Cu Kα (weighted mean of Kα1 and Kα2)
Structure: a structure optimized by DFT (PBE)
Lines closer than 0.1° are merged.

Structural model:
```
data_K6SeI2Br3
_cell_length_a 8.4857
_cell_length_b 14.0789
_cell_length_c 8.5530
_cell_angle_alpha 90.00
_cell_angle_beta 107.74
_cell_angle_gamma 90.00
_space_group_name_H-M_alt 'C 1 2/m 1'
_space_group_IT_number 12
loop_
_space_group_symop_operation_xyz
'x,y,z'
'-x,-y,-z'
'-x,y,-z'
'x,-y,z'
'x+1/2,y+1/2,z'
'-x+1/2,-y+1/2,-z'
'-x+1/2,y+1/2,-z'
'x+1/2,-y+1/2,z'
loop_
_atom_site_label
_atom_site_fract_x
_atom_site_fract_y
_atom_site_fract_z
_atom_site_occupancy
K1 0.2354 0.0000 0.2432 1
K2 0.2442 0.3398 0.2310 1
Se1 0.0000 0.0000 0.5000 1
I1 0.0000 0.3258 0.5000 1
Br1 0.0000 0.1679 0.0000 1
Br2 0.0000 0.5000 0.0000 1
```

Top 10 peaks for 10 to 90 degrees two-theta, in order of rising 2θ:
hkl 0 0 2, 21.8°, intensity 10
hkl 2 0 0, 22.0°, intensity 8
hkl 1 3 -1, 22.9°, intensity 14
hkl 2 0 -2, 26.0°, intensity 100
hkl 2 0 2, 35.8°, intensity 14
hkl 1 3 -3, 36.9°, intensity 25
hkl 3 3 -1, 37.1°, intensity 25
hkl 0 6 0, 38.4°, intensity 11
hkl 0 0 4, 44.5°, intensity 10
hkl 2 6 -2, 46.9°, intensity 12

=====

[1]
# Tb6Ho6Er
Computed PXRD pattern, λ = 1.5418 Å (Cu Kα). Input: DFT lattice parameters and positions (PBE).
No peak broadening, texture or thermal motion is included.

Structural model:
a = 6.520 Å, b = 10.988 Å, c = 6.531 Å
-- stop --

(Job)
The reader should copy the whole of the entries earlier on exactly.

(Reply)
No. 1
Theoretical powder diffractogram
Compound: K6SeI2Br3
Radiation: Cu Kα (weighted mean of Kα1 and Kα2)
Structure: a structure optimized by DFT (PBE)
Lines closer than 0.1° are merged.

Structural model:
```
data_K6SeI2Br3
_cell_length_a 8.4857
_cell_length_b 14.0789
_cell_length_c 8.5530
_cell_angle_alpha 90.00
_cell_angle_beta 107.74
_cell_angle_gamma 90.00
_space_group_name_H-M_alt 'C 1 2/m 1'
_space_group_IT_number 12
loop_
_space_group_symop_operation_xyz
'x,y,z'
'-x,-y,-z'
'-x,y,-z'
'x,-y,z'
'x+1/2,y+1/2,z'
'-x+1/2,-y+1/2,-z'
'-x+1/2,y+1/2,-z'
'x+1/2,-y+1/2,z'
loop_
_atom_site_label
_atom_site_fract_x
_atom_site_fract_y
_atom_site_fract_z
_atom_site_occupancy
K1 0.2354 0.0000 0.2432 1
K2 0.2442 0.3398 0.2310 1
Se1 0.0000 0.0000 0.5000 1
I1 0.0000 0.3258 0.5000 1
Br1 0.0000 0.1679 0.0000 1
Br2 0.0000 0.5000 0.0000 1
```

Top 10 peaks for 10 to 90 degrees two-theta, in order of rising 2θ:
hkl 0 0 2, 21.8°, intensity 10
hkl 2 0 0, 22.0°, intensity 8
hkl 1 3 -1, 22.9°, intensity 14
hkl 2 0 -2, 26.0°, intensity 100
hkl 2 0 2, 35.8°, intensity 14
hkl 1 3 -3, 36.9°, intensity 25
hkl 3 3 -1, 37.1°, intensity 25
hkl 0 6 0, 38.4°, intensity 11
hkl 0 0 4, 44.5°, intensity 10
hkl 2 6 -2, 46.9°, intensity 12

No. 2
Theoretical powder diffractogram
Compound: Ag7TeS2Br2
Radiation: Cu Kα (weighted mean of Kα1 and Kα2)
Structure: a structure optimized by DFT (PBE)
Lines closer than 0.1° are merged.

Structural model:
```
data_Ag7TeS2Br2
_cell_length_a 4.5285
_cell_length_b 20.1208
_cell_length_c 6.8780
_cell_angle_alpha 90.00
_cell_angle_beta 90.00
_cell_angle_gamma 90.00
_space_group_name_H-M_alt 'I m m 2'
_space_group_IT_number 44
loop_
_space_group_symop_operation_xyz
'x,y,z'
'-x,-y,z'
'-x,y,z'
'x,-y,z'
'x+1/2,y+1/2,z+1/2'
'-x+1/2,-y+1/2,z+1/2'
'-x+1/2,y+1/2,z+1/2'
'x+1/2,-y+1/2,z+1/2'
loop_
_atom_site_label
_atom_site_fract_x
_atom_site_fract_y
_atom_site_fract_z
_atom_site_occupancy
Ag1 0.0000 0.0000 0.0000 1
Ag2 0.0000 0.0777 0.3897 1
Ag3 0.0000 0.2188 0.8609 1
Ag4 0.0000 0.4217 0.3696 1
Te1 0.0000 0.5000 0.7588 1
S1 0.0000 0.1017 0.7473 1
Br1 0.0000 0.2092 0.2676 1
```

Top 10 peaks for 10 to 90 degrees two-theta, in order of rising 2θ:
hkl 0 5 1, 25.6°, intensity 36
hkl 0 0 2, 25.9°, intensity 100
hkl 1 4 1, 29.5°, intensity 81
hkl 1 3 2, 35.4°, intensity 56
hkl 1 6 1, 35.8°, intensity 74
hkl 0 6 2, 37.5°, intensity 34
hkl 2 0 0, 39.8°, intensity 82
hkl 1 8 1, 43.2°, intensity 56
hkl 1 2 3, 45.2°, intensity 81
hkl 2 0 2, 48.1°, intensity 35

Copy entry 1 word for word.
Theoretical powder diffractogram
Compound: K6SeI2Br3
Radiation: Cu Kα (weighted mean of Kα1 and Kα2)
Structure: a structure optimized by DFT (PBE)
Lines closer than 0.1° are merged.

Structural model:
```
data_K6SeI2Br3
_cell_length_a 8.4857
_cell_length_b 14.0789
_cell_length_c 8.5530
_cell_angle_alpha 90.00
_cell_angle_beta 107.74
_cell_angle_gamma 90.00
_space_group_name_H-M_alt 'C 1 2/m 1'
_space_group_IT_number 12
loop_
_space_group_symop_operation_xyz
'x,y,z'
'-x,-y,-z'
'-x,y,-z'
'x,-y,z'
'x+1/2,y+1/2,z'
'-x+1/2,-y+1/2,-z'
'-x+1/2,y+1/2,-z'
'x+1/2,-y+1/2,z'
loop_
_atom_site_label
_atom_site_fract_x
_atom_site_fract_y
_atom_site_fract_z
_atom_site_occupancy
K1 0.2354 0.0000 0.2432 1
K2 0.2442 0.3398 0.2310 1
Se1 0.0000 0.0000 0.5000 1
I1 0.0000 0.3258 0.5000 1
Br1 0.0000 0.1679 0.0000 1
Br2 0.0000 0.5000 0.0000 1
```

Top 10 peaks for 10 to 90 degrees two-theta, in order of rising 2θ:
hkl 0 0 2, 21.8°, intensity 10
hkl 2 0 0, 22.0°, intensity 8
hkl 1 3 -1, 22.9°, intensity 14
hkl 2 0 -2, 26.0°, intensity 100
hkl 2 0 2, 35.8°, intensity 14
hkl 1 3 -3, 36.9°, intensity 25
hkl 3 3 -1, 37.1°, intensity 25
hkl 0 6 0, 38.4°, intensity 11
hkl 0 0 4, 44.5°, intensity 10
hkl 2 6 -2, 46.9°, intensity 12

=====

[1]
# Tb6Ho6Er
Computed PXRD pattern, λ = 1.5418 Å (Cu Kα). Input: DFT lattice parameters and positions (PBE).
No peak broadening, texture or thermal motion is included.

Structural model:
a = 6.520 Å, b = 10.988 Å, c = 6.531 Å